Date: 9th October 2019
Time: 13:15
Here the page breaks off for data records >
+++
(1)
Entry from Alexandria: a geometry-optimized ScMn2As structure (PBE-GGA).

abc: 3.1703 3.1703 23.2919
angles: 90.00 90.00 120.00
Space group R-3m (No. 166, hexagonal axes)
One atom of each set of equivalent atoms:
Sc1 0.0000 0.0000 0.0000 (multiplicity 3)
Mn1 0.0000 0.0000 0.2374 (multiplicity 6)
As1 0.0000 0.0000 0.5000 (multiplicity 3)

DOS at the Fermi energy (states/eV/f.u.): 3.54
Formation enthalpy at 0 K (eV/f.u.): 0.61
E_tot (eV for the cell shown): -86.14

---

(2)
Entry from Alexandria: a geometry-optimized ScMn3As structure (PBE-GGA).

abc: 4.656 4.656 4.656
angles: 90.00 90.00 90.00
Space group Pm-3m (No. 221)
One atom of each set of equivalent atoms:
Sc1 0.000 0.000 0.000 (multiplicity 1)
Mn1 0.000 0.000 0.500 (multiplicity 3)
As1 0.500 0.500 0.500 (multiplicity 1)

E above lowest polymorph (eV per formula unit): 5.10
DOS at the Fermi energy (states/eV/f.u.): 3.74
Formation enthalpy at 0 K (eV/f.u.): 6.66
E_tot (eV for the cell shown): -31.83

---

(3)
Entry from Alexandria: a geometry-optimized ScMnAs2 structure (PBE-GGA).

abc: 5.638 5.638 12.785
angles: 90.00 90.00 90.00
Space group I-42d (No. 122)
One atom of each set of equivalent atoms:
Sc1 0.000 0.000 0.000 (multiplicity 4)
Mn1 0.000 0.000 0.500 (multiplicity 4)
As1 0.217 0.250 0.625 (multiplicity 8)

E above lowest polymorph (eV per formula unit): 1.53
DOS at the Fermi energy (states/eV/f.u.): 2.29
Formation enthalpy at 0 K (eV/f.u.): -1.14
E_tot (eV for the cell shown): -103.76

---

(4)
Entry from Alexandria: a geometry-optimized ScMnAs2 structure (PBE-GGA).

abc: 4.527 4.527 6.883
angles: 90.00 90.00 90.00
Space group I4/mmm (No. 139)
One atom of each set of equivalent atoms:
Sc1 0.000 0.000 0.000 (multiplicity 2)
Mn1 0.000 0.000 0.500 (multiplicity 2)
As1 0.000 0.500 0.250 (multiplicity 4)

E above lowest polymorph (eV per formula unit): 1.28
DOS at the Fermi energy (states/eV/f.u.): 4.26
Formation enthalpy at 0 K (eV/f.u.): -1.39
E_tot (eV for the cell shown): -52.39

---

(5)
Entry from Alexandria: a geometry-optimized ScMnAs2 structure (PBE-GGA).

abc: 3.786 5.390 3.788
angles: 90.00 90.00 90.00
Space group Pmm2 (No. 25)
One atom of each set of equivalent atoms:
Sc1 0.000 0.000 0.000 (multiplicity 1)
Mn1 0.500 0.500 0.502 (multiplicity 1)
As1 0.000 0.500 0.002 (multiplicity 1)
As2 0.500 0.000 0.500 (multiplicity 1)

E above lowest polymorph (eV per formula unit): 0.00
DOS at the Fermi energy (states/eV/f.u.): 0.89
Formation enthalpy at 0 K (eV/f.u.): -2.67
E_tot (eV for the cell shown): -27.47

---

(6)
Entry from Alexandria: a geometry-optimized ScMnAs structure (PBE-GGA).

abc: 6.352 6.352 6.352
angles: 90.00 90.00 90.00
Space group F-43m (No. 216)
One atom of each set of equivalent atoms:
Sc1 0.000 0.000 0.000 (multiplicity 4)
Mn1 0.250 0.250 0.750 (multiplicity 4)
As1 0.250 0.250 0.250 (multiplicity 4)

DOS at the Fermi energy (states/eV/f.u.): 4.03
Formation enthalpy at 0 K (eV/f.u.): 0.31
E_tot (eV for the cell shown): -79.35

---
+++
The data records stop here >
Title: Inferring Microbiota Functions in the Plant Phyllosphere
**Misplaced data records**
........
(1)
# PBE ThScTe3, optimized geometry
# relative energy among the computed polymorphs: 0.119 eV per atom
# spin magnetization: 0.000 μB/f.u.
# formation energy (no corrections): -5.6 eV per formula unit
# calculated total energy: -5.751 eV per atom
data_ThScTe3
_chemical_formula_sum 'Th4 Sc4 Te12'
_symmetry_space_group_name_H-M 'C m c 21'
_symmetry_Int_Tables_number 36
_cell_length_a 4.327
_cell_length_b 21.839
_cell_length_c 7.541
_cell_angle_alpha 90.00
_cell_angle_beta 90.00
_cell_angle_gamma 90.00
loop_
_symmetry_equiv_pos_as_xyz
'x,y,z'
'-x,-y,z+1/2'
'-x,y,z'
'x,-y,z+1/2'
'x+1/2,y+1/2,z'
'-x+1/2,-y+1/2,z+1/2'
'-x+1/2,y+1/2,z'
'x+1/2,-y+1/2,z+1/2'
loop_
_atom_site_label
_atom_site_fract_x
_atom_site_fract_y
_atom_site_fract_z
_atom_site_occupancy
Th1 0.000 0.158 0.000 1
Sc1 0.000 0.333 0.001 1
Te1 0.000 0.092 0.642 1
Te2 0.000 0.249 0.334 1
Te3 0.000 0.417 0.696 1

=====

(2)
# PBE LaTe2MoN, optimized geometry
# relative energy among the computed polymorphs: 1.304 eV per atom
# spin magnetization: 3.817 μB/f.u.
# formation energy (no corrections): 4.1 eV per formula unit
# calculated total energy: -5.261 eV per atom
data_LaTe2MoN
_chemical_formula_sum 'La1 Te2 Mo1 N1'
_symmetry_space_group_name_H-M 'P 4/m m m'
_symmetry_Int_Tables_number 123
_symmetry_space_group_name_Hall '-P 4 2'
_cell_length_a 6.295
_cell_length_b 6.295
_cell_length_c 3.989
_cell_angle_alpha 90.00
_cell_angle_beta 90.00
_cell_angle_gamma 90.00
loop_
_atom_site_label
_atom_site_fract_x
_atom_site_fract_y
_atom_site_fract_z
_atom_site_occupancy
La1 0.000 0.000 0.000 1
Te1 0.000 0.500 0.000 1
Mo1 0.500 0.500 0.500 1
N1 0.000 0.000 0.500 1

=====

(3)
# PBE BaAl2Tl2, optimized geometry
# relative energy among the computed polymorphs: 0.215 eV per atom
# spin magnetization: 0.000 μB/f.u.
# formation energy from the elements: 34 meV per atom
# calculated total energy: -2.795 eV per atom
data_BaAl2Tl2
_chemical_formula_sum 'Ba2 Al4 Tl4'
_symmetry_space_group_name_H-M 'P 4/m b m'
_symmetry_Int_Tables_number 127
_symmetry_space_group_name_Hall '-P 4 2ab'
_cell_length_a 8.746
_cell_length_b 8.746
_cell_length_c 3.654
_cell_angle_alpha 90.00
_cell_angle_beta 90.00
_cell_angle_gamma 90.00
loop_
_atom_site_label
_atom_site_fract_x
_atom_site_fract_y
_atom_site_fract_z
_atom_site_occupancy
Ba1 0.000 0.000 0.000 1
Al1 0.116 0.384 0.000 1
Tl1 0.170 0.670 0.500 1

=====

(4)
# PBE Li2TlPb9, optimized geometry
# spin magnetization: 0.000 μB/f.u.
# formation energy from the elements: -77 meV per atom
# calculated total energy: -3.374 eV per atom
data_Li2TlPb9
_chemical_formula_sum 'Li2 Tl1 Pb9'
_symmetry_space_group_name_H-M 'P 4/m m m'
_symmetry_Int_Tables_number 123
_symmetry_space_group_name_Hall '-P 4 2'
_cell_length_a 4.877
_cell_length_b 4.877
_cell_length_c 14.781
_cell_angle_alpha 90.00
_cell_angle_beta 90.00
_cell_angle_gamma 90.00
loop_
_atom_site_label
_atom_site_fract_x
_atom_site_fract_y
_atom_site_fract_z
_atom_site_occupancy
Li1 0.000 0.000 0.163 1
Tl1 0.000 0.000 0.500 1
........
**Here the entry continues**
Location: Seminar room 2012, Biocentre 2, Viikinkaari 5
Host: Kirk Overmyer
**Between two parts of the entry: materials data**
+++
# 1
Below is an optimized crystal structure of Zr2MnGeRh, with properties calculated at the GGA-PBE level.

Unit cell a=4.716 b=4.716 c=4.399 alpha=90.00 beta=90.00 gamma=90.00
Element x y z (fractional)
Zr (0.000, 0.500, 0.000)
Zr (0.500, 0.000, 0.000)
Mn (0.000, 0.000, 0.000)
Ge (0.000, 0.000, 0.500)
Rh (0.500, 0.500, 0.500)

Properties
* E_tot: -37.32 eV per cell
* space group: No. 123

# 2
Below is an optimized crystal structure of MnGe3Ru, with properties calculated at the GGA-PBE level.

Unit cell a=4.787 b=4.787 c=4.787 alpha=90.00 beta=90.00 gamma=90.00
Element x y z (fractional)
Mn (0.000, 0.000, 0.000)
Ge (0.000, 0.500, 0.500)
Ge (0.500, 0.000, 0.500)
Ge (0.500, 0.500, 0.000)
Ru (0.500, 0.500, 0.500)

Properties
* space group: No. 221
* polymorph energy (0 for the lowest one): 0.0000 eV per atom
+++
Abstract: Pathogenic host-microbe interactions within the phyllosphere have often been portrayed as binary or ternary interactions between a host and a small number of microbes. Recent studies indicate, however, that commensal microbes are far more important during pathogenesis than previously expected. In fact, the leaf microbiome sensibly changes composition in presence of an ongoing infection, and the interplay between pathogens and the rest of the microbiome is intense. Cause and consequence of such microbiome-pathogenicity links still remain difficult to decode. Main reasons are significant gaps in the characterization of entire clades of leaf microbes, particularly within the eukaryotes.
To analyze interactive queues in the phyllosphere, we first dissect prokaryotic and to a unprecedented depth eukaryotic diversity of natural field samples on a broad geographic scale. Second, we develop a network analysis based approach able to identify commensal microbes as drivers of changes within natural microbial networks (driver nodes) and test those under laboratory conditions. We hypothesize that those driver nodes are responsible to shift microbial communities form a healthy to a detrimental, pathogen susceptible or even pathogen promotive stage.
As a primary data source with natural variation, we performed a sampling transact across Europe, focusing on the phyllosphere of Arabidopsis thaliana with and without white rust symptoms caused by the protist pathogen Albugo laibachii. Investigating Albugo laibachii promotive communities we could identify several microbes such as a basidiomycete yeast of the genus Dioszegia being a driver of Albugo infection. To validate our computational approach, we provide experimental evidence of a direct driving effect of the basidiomycete yeast Dioszegia (driver node) and other selected bacteria (driver nodes) in promoting Albugo laibachii reproductive fitness on A.thaliana under controlled conditions. Sequencing genomes and performing selection analyses on the driver node Dioszegia revealed a significant intensification of the selective pressure compared to other closely related basidiomycete fungi. We therefore hypothesize that from a regulatory perspective of host fitness, driver nodes play an essential evolutionary role. Our results for unrevealed microbial cues and their predictability to shift communities from a healthy to a detrimental pathogenic state.
Eric Kemen completed his PhD in biology at the University of Konstanz in 2007 before he moved to the Sainsbury Laboratory in Norwich UK, where he joined the group of Jonathan Jones, working on plant pathogen genomics. In 2012, Eric Kemen became a research group leader at the MPI for Plant Breeding Research in Cologne, focusing with his group on microbe-microbe and plant-microbe interactions. An important finding was the discovery of ‘microbial hubs’ that link microbial communities to the host genotype. In 2017 the Kemen Group moved to the University of Tuebingen where Eric Kemen started as a full professor heading the department of Microbial Interactions in Plant Ecosystems. Goal of the Kemen group is to combine computational modelling with ecology and host/microbe genetics.